Material =
+++
Calculated X-ray powder pattern of Sc2MnS4 for CuKα, from a DFT-relaxed cell (GGA-PBE, Alexandria).
Intensities are scaled so that the largest is 100.

Cell and atoms:
Cell: 10.607 10.607 10.607 Å, 90.00 90.00 90.00°
Space group Fd-3m (No. 227, origin choice 2)
One atom of each set of equivalent atoms:
Sc 0.000 0.000 0.000
Mn 0.125 0.125 0.625
S 0.006 0.006 0.244

The 10 most intense peaks (2θ from 10° to 80°), by angle:
| Position (°2θ) | I_rel | h k l |
| --- | --- | --- |
| 23.7 | 34 | 2 2 0 |
| 27.9 | 94 | 3 1 1 |
| 33.8 | 55 | 4 0 0 |
| 41.7 | 14 | 4 2 2 |
| 44.4 | 42 | 5 1 1 |
| 48.6 | 100 | 4 4 0 |
| 56.9 | 11 | 5 3 3 |
| 60.5 | 11 | 4 4 4 |
| 67.9 | 16 | 5 5 3 |
| 71.1 | 14 | 8 0 0 |

----------

# 1
This entry pairs a crystal structure of CaCrB14 with its calculated X-ray diffraction stick pattern. Radiation: Cu Ka. Structure: a structure optimized by DFT (GGA-PBE).

Atomic structure:
Unit cell a=7.326 b=7.326 c=7.326 alpha=132.73 beta=87.48 gamma=111.43
Sites, in units of the cell vectors:
Ca1 0.389 0.139 0.250
Ca2 0.611 0.861 0.750
Cr1 0.000 0.000 0.500
Cr2 0.000 0.500 0.000
B1 0.008 0.873 0.135
B2 0.032 0.205 0.331
B3 0.032 0.701 0.827
B4 0.082 0.669 0.414
B5 0.199 0.532 0.666
B6 0.222 0.502 0.401
B7 0.222 0.821 0.720
B8 0.238 0.873 0.365
B9 0.245 0.331 0.914
B10 0.366 0.532 0.834
B11 0.374 0.205 0.673
B12 0.374 0.701 0.169
B13 0.398 0.179 0.901
B14 0.398 0.498 0.220
B15 0.602 0.502 0.780
B16 0.602 0.821 0.099
B17 0.626 0.299 0.831
B18 0.626 0.795 0.327
B19 0.634 0.468 0.166
B20 0.755 0.669 0.086
B21 0.762 0.127 0.635
B22 0.778 0.179 0.280
B23 0.778 0.498 0.599
B24 0.801 0.468 0.334
B25 0.918 0.331 0.586
B26 0.968 0.299 0.173
B27 0.968 0.795 0.669
B28 0.992 0.127 0.865

Top 10 peaks for 2θ from 10° to 80°, most intense first:
41.45 deg, I = 100
33.47 deg, I = 64
13.60 deg, I = 52
16.75 deg, I = 41
27.41 deg, I = 33
41.63 deg, I = 32
40.00 deg, I = 28
25.09 deg, I = 26
33.66 deg, I = 24
36.84 deg, I = 23

# 2
This entry pairs a crystal structure of Pr4SnPbN with its calculated X-ray diffraction stick pattern. Radiation: Cu Ka. Structure: a structure optimized by DFT (GGA-PBE).

Atomic structure:
Unit cell a=9.094 b=9.094 c=7.027 alpha=90.00 beta=90.00 gamma=134.52
Sites, in units of the cell vectors:
Pr1 0.000 0.500 0.000
Pr2 0.000 0.500 0.500
Pr3 0.088 0.912 0.750
Pr4 0.410 0.590 0.750
Pr5 0.500 0.000 0.000
Pr6 0.500 0.000 0.500
Pr7 0.590 0.410 0.250
Pr8 0.912 0.088 0.250
Sn1 0.109 0.891 0.250
Sn2 0.891 0.109 0.750
Pb1 0.393 0.607 0.250
Pb2 0.607 0.393 0.750
N1 0.252 0.748 0.750
N2 0.748 0.252 0.250

Top 10 peaks for 2θ from 10° to 80°, most intense first:
33.26 deg, I = 100
27.52 deg, I = 64
36.15 deg, I = 60
49.05 deg, I = 36
63.18 deg, I = 32
32.02 deg, I = 30
52.05 deg, I = 21
25.34 deg, I = 21
61.23 deg, I = 19
62.43 deg, I = 18

----------

[1]
Starting from a structure optimized by DFT (GGA-PBE), the powder XRD pattern of Cs2Li4UO6 was simulated for Cu Kα (weighted mean of Kα1 and Kα2).
Kinematic intensities with the Lorentz-polarization factor, no thermal factor.

The 6 most intense peaks (10° ≤ 2θ ≤ 80°), sorted by position:
two_theta  intensity
22.3  100
28.5  46
34.7  13
36.5  34
42.2  29
47.0  28

Crystal structure
```
data_Cs2Li4UO6
_chemical_formula_sum 'Cs2 Li4 U1 O6'
_cell_length_a 6.2568
_cell_length_b 6.2568
_cell_length_c 5.8821
_cell_angle_alpha 90.00
_cell_angle_beta 90.00
_cell_angle_gamma 120.00
_space_group_name_H-M_alt 'P 1'
_space_group_IT_number 1
loop_
_space_group_symop_operation_xyz
'x,y,z'
loop_
_atom_site_label
_atom_site_type_symbol
_atom_site_fract_x
_atom_site_fract_y
_atom_site_fract_z
Cs1 Cs 0.3333 0.6667 0.4338
Cs2 Cs 0.6667 0.3333 0.5662
Li1 Li 0.0000 0.0000 0.5000
Li2 Li 0.0000 0.5000 0.0000
Li3 Li 0.5000 0.0000 0.0000
Li4 Li 0.5000 0.5000 0.0000
U1 U 0.0000 0.0000 0.0000
O1 O 0.1613 0.3226 0.8041
O2 O 0.1613 0.8387 0.8041
O3 O 0.3226 0.1613 0.1959
O4 O 0.6774 0.8387 0.8041
O5 O 0.8387 0.1613 0.1959
O6 O 0.8387 0.6774 0.1959
```

=====

[2]
+++

Request =
The reader should return everything further up exactly.

Worked solution =
Calculated X-ray powder pattern of Sc2MnS4 for CuKα, from a DFT-relaxed cell (GGA-PBE, Alexandria).
Intensities are scaled so that the largest is 100.

Cell and atoms:
Cell: 10.607 10.607 10.607 Å, 90.00 90.00 90.00°
Space group Fd-3m (No. 227, origin choice 2)
One atom of each set of equivalent atoms:
Sc 0.000 0.000 0.000
Mn 0.125 0.125 0.625
S 0.006 0.006 0.244

The 10 most intense peaks (2θ from 10° to 80°), by angle:
| Position (°2θ) | I_rel | h k l |
| --- | --- | --- |
| 23.7 | 34 | 2 2 0 |
| 27.9 | 94 | 3 1 1 |
| 33.8 | 55 | 4 0 0 |
| 41.7 | 14 | 4 2 2 |
| 44.4 | 42 | 5 1 1 |
| 48.6 | 100 | 4 4 0 |
| 56.9 | 11 | 5 3 3 |
| 60.5 | 11 | 4 4 4 |
| 67.9 | 16 | 5 5 3 |
| 71.1 | 14 | 8 0 0 |

----------

# 1
This entry pairs a crystal structure of CaCrB14 with its calculated X-ray diffraction stick pattern. Radiation: Cu Ka. Structure: a structure optimized by DFT (GGA-PBE).

Atomic structure:
Unit cell a=7.326 b=7.326 c=7.326 alpha=132.73 beta=87.48 gamma=111.43
Sites, in units of the cell vectors:
Ca1 0.389 0.139 0.250
Ca2 0.611 0.861 0.750
Cr1 0.000 0.000 0.500
Cr2 0.000 0.500 0.000
B1 0.008 0.873 0.135
B2 0.032 0.205 0.331
B3 0.032 0.701 0.827
B4 0.082 0.669 0.414
B5 0.199 0.532 0.666
B6 0.222 0.502 0.401
B7 0.222 0.821 0.720
B8 0.238 0.873 0.365
B9 0.245 0.331 0.914
B10 0.366 0.532 0.834
B11 0.374 0.205 0.673
B12 0.374 0.701 0.169
B13 0.398 0.179 0.901
B14 0.398 0.498 0.220
B15 0.602 0.502 0.780
B16 0.602 0.821 0.099
B17 0.626 0.299 0.831
B18 0.626 0.795 0.327
B19 0.634 0.468 0.166
B20 0.755 0.669 0.086
B21 0.762 0.127 0.635
B22 0.778 0.179 0.280
B23 0.778 0.498 0.599
B24 0.801 0.468 0.334
B25 0.918 0.331 0.586
B26 0.968 0.299 0.173
B27 0.968 0.795 0.669
B28 0.992 0.127 0.865

Top 10 peaks for 2θ from 10° to 80°, most intense first:
41.45 deg, I = 100
33.47 deg, I = 64
13.60 deg, I = 52
16.75 deg, I = 41
27.41 deg, I = 33
41.63 deg, I = 32
40.00 deg, I = 28
25.09 deg, I = 26
33.66 deg, I = 24
36.84 deg, I = 23

# 2
This entry pairs a crystal structure of Pr4SnPbN with its calculated X-ray diffraction stick pattern. Radiation: Cu Ka. Structure: a structure optimized by DFT (GGA-PBE).

Atomic structure:
Unit cell a=9.094 b=9.094 c=7.027 alpha=90.00 beta=90.00 gamma=134.52
Sites, in units of the cell vectors:
Pr1 0.000 0.500 0.000
Pr2 0.000 0.500 0.500
Pr3 0.088 0.912 0.750
Pr4 0.410 0.590 0.750
Pr5 0.500 0.000 0.000
Pr6 0.500 0.000 0.500
Pr7 0.590 0.410 0.250
Pr8 0.912 0.088 0.250
Sn1 0.109 0.891 0.250
Sn2 0.891 0.109 0.750
Pb1 0.393 0.607 0.250
Pb2 0.607 0.393 0.750
N1 0.252 0.748 0.750
N2 0.748 0.252 0.250

Top 10 peaks for 2θ from 10° to 80°, most intense first:
33.26 deg, I = 100
27.52 deg, I = 64
36.15 deg, I = 60
49.05 deg, I = 36
63.18 deg, I = 32
32.02 deg, I = 30
52.05 deg, I = 21
25.34 deg, I = 21
61.23 deg, I = 19
62.43 deg, I = 18

----------

[1]
Starting from a structure optimized by DFT (GGA-PBE), the powder XRD pattern of Cs2Li4UO6 was simulated for Cu Kα (weighted mean of Kα1 and Kα2).
Kinematic intensities with the Lorentz-polarization factor, no thermal factor.

The 6 most intense peaks (10° ≤ 2θ ≤ 80°), sorted by position:
two_theta  intensity
22.3  100
28.5  46
34.7  13
36.5  34
42.2  29
47.0  28

Crystal structure
```
data_Cs2Li4UO6
_chemical_formula_sum 'Cs2 Li4 U1 O6'
_cell_length_a 6.2568
_cell_length_b 6.2568
_cell_length_c 5.8821
_cell_angle_alpha 90.00
_cell_angle_beta 90.00
_cell_angle_gamma 120.00
_space_group_name_H-M_alt 'P 1'
_space_group_IT_number 1
loop_
_space_group_symop_operation_xyz
'x,y,z'
loop_
_atom_site_label
_atom_site_type_symbol
_atom_site_fract_x
_atom_site_fract_y
_atom_site_fract_z
Cs1 Cs 0.3333 0.6667 0.4338
Cs2 Cs 0.6667 0.3333 0.5662
Li1 Li 0.0000 0.0000 0.5000
Li2 Li 0.0000 0.5000 0.0000
Li3 Li 0.5000 0.0000 0.0000
Li4 Li 0.5000 0.5000 0.0000
U1 U 0.0000 0.0000 0.0000
O1 O 0.1613 0.3226 0.8041
O2 O 0.1613 0.8387 0.8041
O3 O 0.3226 0.1613 0.1959
O4 O 0.6774 0.8387 0.8041
O5 O 0.8387 0.1613 0.1959
O6 O 0.8387 0.6774 0.1959
```

=====

[2]